The Pastorless Church – Part III
As we go through the scriptures to see what it is that the Lord has to say to us on this particular topic, we now come to an area of contention and sensitivity. The reason why it’s sensitive is more people embrace the culture of … Continue readingThe Pastorless Church – Part III
The Pastorless Church – Part II
In part one of the Pastorless Church, we took a look 1 Timothy 2:8 which addressed the public assembly of the church and how men (males) are called to lead prayer. This should be done without dissension, disputing, full of faith, with a blameless life … Continue readingThe Pastorless Church – Part II
The Pastorless Church – Part I
**Here the piece breaks off for crystal structures:**
-- begin --
This record from Alexandria describes Ho6TlCd5 after structural relaxation. The functional is PBE.

As for the density: 9.320 g/cm³. The value obtained for the final energy is -0.117 Ha/atom.

It has space group Cmmm (No. 65), with a = 5.271 Å, b = 15.870 Å, c = 7.480 Å, α = 90.00°, β = 90.00° and γ = 90.00°. Symmetry generates all atoms from Ho at (0.000, 0.000, 0.248), Ho at (0.000, 0.333, 0.248), Tl at (0.000, 0.500, 0.500), Cd at (0.000, 0.167, 0.000), Cd at (0.000, 0.171, 0.500) and Cd at (0.000, 0.500, 0.000).

---

This record from Alexandria describes Ho12Tl5Cd2 after structural relaxation. The functional is PBE.

As for the density: 9.543 g/cm³. The value obtained for the final energy is -0.136 Ha/atom.

It has space group C2/m (No. 12), with a = 17.034 Å, b = 7.294 Å, c = 9.120 Å, α = 90.00°, β = 97.79° and γ = 90.00°. Symmetry generates all atoms from Ho at (0.009, 0.000, 0.188), Ho at (0.042, 0.500, 0.692), Ho at (0.149, 0.244, 0.004), Ho at (0.161, 0.261, 0.411), Tl at (0.000, 0.500, 0.000), Tl at (0.194, 0.000, 0.729), Tl at (0.229, 0.500, 0.752) and Cd at (0.000, 0.181, 0.500).

---

This record from Alexandria describes Ho8TlCd2 after structural relaxation. The functional is PBE.

For the energy above the most stable polymorph in this dataset, the calculation gives 0.051 eV/atom. As for the density: 9.059 g/cm³. The value obtained for the final energy is -0.141 Ha/atom.

It has space group C2/m (No. 12), with a = 17.902 Å, b = 5.178 Å, c = 7.259 Å, α = 90.00°, β = 107.71° and γ = 90.00°. Symmetry generates all atoms from Ho at (0.025, 0.000, 0.256), Ho at (0.093, 0.500, 0.963), Ho at (0.168, 0.500, 0.458), Ho at (0.194, 0.000, 0.795), Tl at (0.000, 0.500, 0.500) and Cd at (0.188, 0.000, 0.202).

---

This record from Alexandria describes Ho8Tl2Cd after structural relaxation. The functional is PBE.

As for the density: 9.530 g/cm³. The value obtained for the final energy is -0.146 Ha/atom.

It has space group C2/m (No. 12), with a = 17.805 Å, b = 5.182 Å, c = 7.047 Å, α = 90.00°, β = 99.45° and γ = 90.00°. Symmetry generates all atoms from Ho at (0.030, 0.000, 0.246), Ho at (0.090, 0.500, 0.946), Ho at (0.163, 0.500, 0.439), Ho at (0.179, 0.000, 0.771), Tl at (0.208, 0.000, 0.216) and Cd at (0.000, 0.500, 0.500).

---

This record from Alexandria describes Ho5TlCd after structural relaxation. The functional is PBE.

As for the density: 6.826 g/cm³. The value obtained for the final energy is -0.116 Ha/atom.

It has space group Imm2 (No. 44), with a = 8.660 Å, b = 11.590 Å, c = 5.533 Å, α = 90.00°, β = 90.00° and γ = 90.00°. Symmetry generates all atoms from Ho at (0.000, 0.000, 0.000), Ho at (0.000, 0.250, 0.478), Ho at (0.175, 0.500, 0.059), Tl at (0.000, 0.500, 0.572) and Cd at (0.000, 0.000, 0.499).

---

This record from Alexandria describes Ho5Tl4Cd after structural relaxation. The functional is PBE.

As for the density: 10.886 g/cm³. The value obtained for the final energy is -0.134 Ha/atom.
-- stop --
Unquestioningly, one of the most controversial topics within the modern church today is the idea of women as pastors in the church. Many arguments have been laid out for the affirmative. However, a church with a woman as a head pastor is pastorless because it … Continue readingThe Pastorless Church – Part I
Unqualified Church Leaders
Crystal structures, as found in the file =
~~~
! Tb2PrSmSb4 (PBE-GGA, relaxed); values from VASP
&SYSTEM
  ibrav = 0, nat = 8, ntyp = 4
/
ATOMIC_SPECIES
Tb 158.93 Tb.upf
Sb 121.76 Sb.upf
Sm 150.36 Sm.upf
Pr 140.91 Pr.upf
CELL_PARAMETERS angstrom
4.462 0.000 0.000
0.000 7.719 -0.151
0.000 2.718 7.230
ATOMIC_POSITIONS crystal
Tb 0.500 0.000 0.500
Tb 0.000 0.000 0.000
Sb 0.000 0.242 0.255
Sb 0.500 0.756 0.250
Sb 0.500 0.244 0.750
Sb 0.000 0.758 0.745
Sm 0.000 0.500 0.500
Pr 0.500 0.500 0.000
! Magnetization   0.00 μB/cell
! Space group   P2/m, No. 10
! E_form (uncorrected)   -1.163 eV per atom

=====

Record 1
A plane-wave DFT calculation with GGA-PBE was carried out for crystalline DyAs2 at its relaxed geometry.

```
data_DyAs2
_chemical_formula_sum 'Dy2 As4'
_space_group_name_H-M_alt 'C 1 2/m 1'
_space_group_IT_number 12
_cell_length_a 5.507
_cell_length_b 5.496
_cell_length_c 4.988
_cell_angle_alpha 90.00
_cell_angle_beta 115.76
_cell_angle_gamma 90.00
loop_
_space_group_symop_operation_xyz
'x,y,z'
'-x,-y,-z'
'-x,y,-z'
'x,-y,z'
'x+1/2,y+1/2,z'
'-x+1/2,-y+1/2,-z'
'-x+1/2,y+1/2,-z'
'x+1/2,-y+1/2,z'
loop_
_atom_site_label
_atom_site_type_symbol
_atom_site_fract_x
_atom_site_fract_y
_atom_site_fract_z
_atom_site_occupancy
Dy1 Dy 0.000 0.000 0.000 1
As1 As 0.096 0.500 0.286 1
```

Summary:
The calculation puts the calculated formation energy at -0.769 eV per atom. The density of states at the Fermi level comes out at 0.53 states/eV per atom. The value obtained for the density is 7.628 Mg/m³.

Record 2
A plane-wave DFT calculation with GGA-PBE was carried out for crystalline BaSrAg2 at its relaxed geometry.

```
data_BaSrAg2
_chemical_formula_sum 'Ba2 Sr2 Ag4'
_space_group_name_H-M_alt 'C 1 2/m 1'
_space_group_IT_number 12
_cell_length_a 8.202
_cell_length_b 4.785
_cell_length_c 8.220
_cell_angle_alpha 90.00
_cell_angle_beta 109.87
_cell_angle_gamma 90.00
loop_
_space_group_symop_operation_xyz
'x,y,z'
'-x,-y,-z'
'-x,y,-z'
'x,-y,z'
'x+1/2,y+1/2,z'
'-x+1/2,-y+1/2,-z'
'-x+1/2,y+1/2,-z'
'x+1/2,-y+1/2,z'
loop_
_atom_site_label
_atom_site_type_symbol
_atom_site_fract_x
_atom_site_fract_y
_atom_site_fract_z
_atom_site_occupancy
Ba1 Ba 0.000 0.000 0.000 1
Sr1 Sr 0.000 0.500 0.500 1
Ag1 Ag 0.244 0.000 0.733 1
```

Summary:
The calculation puts the calculated formation energy at -0.163 eV per atom. The calculation puts the energy above the most stable polymorph in this dataset at 121 meV/atom. The density of states at the Fermi level comes out at 0.76 states/eV per atom. The value obtained for the density is 4.823 Mg/m³.

Record 3
A plane-wave DFT calculation with GGA-PBE was carried out for crystalline EuDyMgAl at its relaxed geometry.

```
data_EuDyMgAl
_chemical_formula_sum 'Eu4 Dy4 Mg4 Al4'
_space_group_name_H-M_alt 'F -4 3 m'
_space_group_IT_number 216
_space_group_name_Hall 'F -4 2 3'
_cell_length_a 7.540
_cell_length_b 7.540
_cell_length_c 7.540
_cell_angle_alpha 90.00
_cell_angle_beta 90.00
_cell_angle_gamma 90.00
loop_
_atom_site_label
_atom_site_type_symbol
_atom_site_fract_x
_atom_site_fract_y
~~~
The modern day church has grown to have many distinctive differences from the church of scripture. One of the most prevalent is having unqualified church leadership. … Continue readingUnqualified Church Leaders
The Preeminence of Doctrine
It is surprising, to a lesser extent, that the church today espouses so many different beliefs that Christians latch onto not knowing what the word of God has to say about it. As a matter of fact, mention doctrine and holiness and the defense goes up about everyone should be unified and loving as if they were mutually exclusive to one another. … Continue readingThe Preeminence of Doctrine
Church Attendance: A Matter of Obedience
Today, Christians use all sorts of reasons as to why they don’t attend their church gatherings. It has, by and large, become one of the last things of importance in their list of priorities in life. Other things come first and to make a sacrifice … Continue readingChurch Attendance: A Matter of Obedience
How Will You Respond?
The people during the time of Noah was caught unaware at the time of judgment. In light of the constant warnings in the scriptures, how can we be ready for the true time of the Lord’s return? … Continue readingHow Will You Respond?
The End of the World…I Think
In my town recently were several billboards that broadcasted the end of the world which was supposed to happen May 21st, 2011. That was yesterday. The disturbing thing about this is that it has been propagated by a self-proclaimed Christian radio network. This network has … Continue readingThe End of the World…I Think
Politics and the Problem of God – Part II
There is an erroneous belief that has been perpetrated throughout the United States that politics and religion should be kept separate or that they can’t mix. The mantra that is always evoked is the “separation between church and state” which is almost always used out of context in complete ignorance. But the fact of the matter is that faith and politics are inseparable if both are genuine. … Continue readingPolitics and the Problem of God – Part II
Politics and the Problem of God – Part I
The statement has been made in reference to the United States by many well meaning men and women, that this nation is a Christian nation. However, the reality is that it is not, nor has been a Christian nation. Coming from someone that has spoken … Continue readingPolitics and the Problem of God – Part I